(Request)
Now type out all of the contents underneath exactly.

(File)
┌──
# NdIO

A geometry-optimized NdIO structure (PBE, the Materials Project database).

Properties
- energy of formation from the pure elements (meV per atom) = -2828
- DFT total energy (eV per formula unit) = -19.04

a = 11.4221 Å, b = 11.4221 Å, c = 11.4221 Å
α = 20.56°, β = 20.56°, γ = 20.56°
Last column: nearest neighbours and their distance in Å.
Fractional positions:
Nd (0.2110, 0.2110, 0.2110)  4 O 2.38-2.43
Nd (0.7890, 0.7890, 0.7890)  4 O 2.38-2.43
I (0.3887, 0.3887, 0.3887)  3 Nd 3.25
I (0.6113, 0.6113, 0.6113)  3 Nd 3.25
O (0.1400, 0.1400, 0.1400)  4 Nd 2.38-2.43
O (0.8600, 0.8600, 0.8600)  4 Nd 2.38-2.43

=====

# Nd3Pb3I13O40

A geometry-optimized Nd3Pb3I13O40 structure (PBE, the Materials Project database).

Properties
- energy of formation from the pure elements (meV per atom) = -1350
- DFT total energy (eV per formula unit) = -295.37

a = 13.6907 Å, b = 13.6907 Å, c = 13.6907 Å
α = 109.07°, β = 109.07°, γ = 109.07°
Last column: nearest neighbours and their distance in Å.
Fractional positions:
O (0.5003, 0.5808, 0.3222)  1 I 1.82
O (0.3873, 0.0875, 0.3972)  1 I 1.84
O (0.9107, 0.1785, 0.2625)  1 I 1.86
O (0.5294, 0.8562, 0.0547)  1 I 1.85
O (0.5875, 0.8873, 0.8972)  1 I 1.84
O (0.2489, 0.8000, 0.5123)  1 I 1.83
O (0.8873, 0.8972, 0.5875)  1 I 1.84
O (0.7848, 0.8510, 0.9287)  1 I 1.84
O (0.4660, 0.6163, 0.8241)  1 I 1.84
O (0.7112, 0.7841, 0.0958)  1 I 1.84
O (0.2392, 0.9801, 0.6773)  1 I 1.83
O (0.0123, 0.3000, 0.7489)  1 I 1.83
O (0.9660, 0.3241, 0.1163)  1 I 1.84
O (0.0003, 0.8222, 0.0808)  1 I 1.82
O (0.3222, 0.5003, 0.5808)  1 I 1.82
O (0.5123, 0.2489, 0.8000)  1 I 1.83
O (0.7625, 0.6785, 0.4107)  1 I 1.86
O (0.6846, 0.4766, 0.4310)  1 I 1.86
O (0.8241, 0.4660, 0.6163)  1 I 1.84
O (0.8530, 0.3921, 0.9231)  1 I 1.83
O (0.3241, 0.1163, 0.9660)  1 I 1.84
O (0.0294, 0.5547, 0.3562)  1 I 1.85
O (0.0547, 0.5294, 0.8562)  1 I 1.85
O (0.5808, 0.3222, 0.5003)  1 I 1.82
O (0.9801, 0.6773, 0.2392)  1 I 1.83
O (0.1846, 0.9310, 0.9766)  1 I 1.86
O (0.1875, 0.6456, 0.6343)  1 I 1.84
O (0.2848, 0.4287, 0.3510)  1 I 1.84
O (0.8222, 0.0808, 0.0003)  1 I 1.82
O (0.4766, 0.4310, 0.6846)  1 I 1.86
O (0.4801, 0.7392, 0.1773)  1 I 1.83
O (0.3000, 0.7489, 0.0123)  1 I 1.83
O (0.4310, 0.6846, 0.4766)  1 I 1.86
O (0.9287, 0.7848, 0.8510)  1 I 1.84
O (0.3530, 0.4231, 0.8921)  1 I 1.83
O (0.1328, 0.4669, 0.0482)  1 I 1.82
O (0.6785, 0.4107, 0.7625)  1 I 1.86
O (0.6456, 0.6343, 0.1875)  1 I 1.84
O (0.9766, 0.1846, 0.9310)  1 I 1.86
O (0.5958, 0.2841, 0.2112)  1 I 1.84
O (0.4287, 0.3510, 0.2848)  1 I 1.84
O (0.4231, 0.8921, 0.3530)  1 I 1.83
O (0.8562, 0.0547, 0.5294)  1 I 1.85
O (0.9669, 0.6328, 0.5482)  1 I 1.82
O (0.4107, 0.7625, 0.6785)  1 I 1.86
O (0.0958, 0.7112, 0.7841)  1 I 1.84
O (0.0875, 0.3972, 0.3873)  1 I 1.84
O (0.6875, 0.1343, 0.1456)  1 I 1.84
O (0.8972, 0.5875, 0.8873)  1 I 1.84
O (0.2841, 0.2112, 0.5958)  1 I 1.84
O (0.4669, 0.0482, 0.1328)  1 I 1.82
O (0.6343, 0.1875, 0.6456)  1 I 1.84
O (0.7841, 0.0958, 0.7112)  1 I 1.84
O (0.0482, 0.1328, 0.4669)  1 I 1.82
O (0.8000, 0.5123, 0.2489)  1 I 1.83
O (0.5482, 0.9669, 0.6328)  1 I 1.82
O (0.3510, 0.2848, 0.4287)  1 I 1.84
O (0.9231, 0.8530, 0.3921)  1 I 1.83
O (0.6773, 0.2392, 0.9801)  1 I 1.83
O (0.8510, 0.9287, 0.7848)  1 I 1.84
O (0.3921, 0.9231, 0.8530)  1 I 1.83
O (0.1488, 0.1488, 0.1488)  3 Pb 2.33
O (0.0808, 0.0003, 0.8222)  1 I 1.82
O (0.6328, 0.5482, 0.9669)  1 I 1.82
O (0.1163, 0.9660, 0.3241)  1 I 1.84
O (0.7392, 0.1773, 0.4801)  1 I 1.83
O (0.7489, 0.0123, 0.3000)  1 I 1.83
O (0.1785, 0.2625, 0.9107)  1 I 1.86
O (0.2112, 0.5958, 0.2841)  1 I 1.84
O (0.8921, 0.3530, 0.4231)  1 I 1.83
O (0.6488, 0.6488, 0.6488)  3 Pb 2.33
O (0.6163, 0.8241, 0.4660)  1 I 1.84
O (0.3972, 0.3873, 0.0875)  1 I 1.84
O (0.1456, 0.6875, 0.1343)  1 I 1.84
O (0.3562, 0.0294, 0.5547)  1 I 1.85
O (0.2625, 0.9107, 0.1785)  1 I 1.86
O (0.9310, 0.9766, 0.1846)  1 I 1.86
O (0.1773, 0.4801, 0.7392)  1 I 1.83
O (0.5547, 0.3562, 0.0294)  1 I 1.85
O (0.1343, 0.1456, 0.6875)  1 I 1.84
└──

(Here it is)
# NdIO

A geometry-optimized NdIO structure (PBE, the Materials Project database).

Properties
- energy of formation from the pure elements (meV per atom) = -2828
- DFT total energy (eV per formula unit) = -19.04

a = 11.4221 Å, b = 11.4221 Å, c = 11.4221 Å
α = 20.56°, β = 20.56°, γ = 20.56°
Last column: nearest neighbours and their distance in Å.
Fractional positions:
Nd (0.2110, 0.2110, 0.2110)  4 O 2.38-2.43
Nd (0.7890, 0.7890, 0.7890)  4 O 2.38-2.43
I (0.3887, 0.3887, 0.3887)  3 Nd 3.25
I (0.6113, 0.6113, 0.6113)  3 Nd 3.25
O (0.1400, 0.1400, 0.1400)  4 Nd 2.38-2.43
O (0.8600, 0.8600, 0.8600)  4 Nd 2.38-2.43

=====

# Nd3Pb3I13O40

A geometry-optimized Nd3Pb3I13O40 structure (PBE, the Materials Project database).

Properties
- energy of formation from the pure elements (meV per atom) = -1350
- DFT total energy (eV per formula unit) = -295.37

a = 13.6907 Å, b = 13.6907 Å, c = 13.6907 Å
α = 109.07°, β = 109.07°, γ = 109.07°
Last column: nearest neighbours and their distance in Å.
Fractional positions:
O (0.5003, 0.5808, 0.3222)  1 I 1.82
O (0.3873, 0.0875, 0.3972)  1 I 1.84
O (0.9107, 0.1785, 0.2625)  1 I 1.86
O (0.5294, 0.8562, 0.0547)  1 I 1.85
O (0.5875, 0.8873, 0.8972)  1 I 1.84
O (0.2489, 0.8000, 0.5123)  1 I 1.83
O (0.8873, 0.8972, 0.5875)  1 I 1.84
O (0.7848, 0.8510, 0.9287)  1 I 1.84
O (0.4660, 0.6163, 0.8241)  1 I 1.84
O (0.7112, 0.7841, 0.0958)  1 I 1.84
O (0.2392, 0.9801, 0.6773)  1 I 1.83
O (0.0123, 0.3000, 0.7489)  1 I 1.83
O (0.9660, 0.3241, 0.1163)  1 I 1.84
O (0.0003, 0.8222, 0.0808)  1 I 1.82
O (0.3222, 0.5003, 0.5808)  1 I 1.82
O (0.5123, 0.2489, 0.8000)  1 I 1.83
O (0.7625, 0.6785, 0.4107)  1 I 1.86
O (0.6846, 0.4766, 0.4310)  1 I 1.86
O (0.8241, 0.4660, 0.6163)  1 I 1.84
O (0.8530, 0.3921, 0.9231)  1 I 1.83
O (0.3241, 0.1163, 0.9660)  1 I 1.84
O (0.0294, 0.5547, 0.3562)  1 I 1.85
O (0.0547, 0.5294, 0.8562)  1 I 1.85
O (0.5808, 0.3222, 0.5003)  1 I 1.82
O (0.9801, 0.6773, 0.2392)  1 I 1.83
O (0.1846, 0.9310, 0.9766)  1 I 1.86
O (0.1875, 0.6456, 0.6343)  1 I 1.84
O (0.2848, 0.4287, 0.3510)  1 I 1.84
O (0.8222, 0.0808, 0.0003)  1 I 1.82
O (0.4766, 0.4310, 0.6846)  1 I 1.86
O (0.4801, 0.7392, 0.1773)  1 I 1.83
O (0.3000, 0.7489, 0.0123)  1 I 1.83
O (0.4310, 0.6846, 0.4766)  1 I 1.86
O (0.9287, 0.7848, 0.8510)  1 I 1.84
O (0.3530, 0.4231, 0.8921)  1 I 1.83
O (0.1328, 0.4669, 0.0482)  1 I 1.82
O (0.6785, 0.4107, 0.7625)  1 I 1.86
O (0.6456, 0.6343, 0.1875)  1 I 1.84
O (0.9766, 0.1846, 0.9310)  1 I 1.86
O (0.5958, 0.2841, 0.2112)  1 I 1.84
O (0.4287, 0.3510, 0.2848)  1 I 1.84
O (0.4231, 0.8921, 0.3530)  1 I 1.83
O (0.8562, 0.0547, 0.5294)  1 I 1.85
O (0.9669, 0.6328, 0.5482)  1 I 1.82
O (0.4107, 0.7625, 0.6785)  1 I 1.86
O (0.0958, 0.7112, 0.7841)  1 I 1.84
O (0.0875, 0.3972, 0.3873)  1 I 1.84
O (0.6875, 0.1343, 0.1456)  1 I 1.84
O (0.8972, 0.5875, 0.8873)  1 I 1.84
O (0.2841, 0.2112, 0.5958)  1 I 1.84
O (0.4669, 0.0482, 0.1328)  1 I 1.82
O (0.6343, 0.1875, 0.6456)  1 I 1.84
O (0.7841, 0.0958, 0.7112)  1 I 1.84
O (0.0482, 0.1328, 0.4669)  1 I 1.82
O (0.8000, 0.5123, 0.2489)  1 I 1.83
O (0.5482, 0.9669, 0.6328)  1 I 1.82
O (0.3510, 0.2848, 0.4287)  1 I 1.84
O (0.9231, 0.8530, 0.3921)  1 I 1.83
O (0.6773, 0.2392, 0.9801)  1 I 1.83
O (0.8510, 0.9287, 0.7848)  1 I 1.84
O (0.3921, 0.9231, 0.8530)  1 I 1.83
O (0.1488, 0.1488, 0.1488)  3 Pb 2.33
O (0.0808, 0.0003, 0.8222)  1 I 1.82
O (0.6328, 0.5482, 0.9669)  1 I 1.82
O (0.1163, 0.9660, 0.3241)  1 I 1.84
O (0.7392, 0.1773, 0.4801)  1 I 1.83
O (0.7489, 0.0123, 0.3000)  1 I 1.83
O (0.1785, 0.2625, 0.9107)  1 I 1.86
O (0.2112, 0.5958, 0.2841)  1 I 1.84
O (0.8921, 0.3530, 0.4231)  1 I 1.83
O (0.6488, 0.6488, 0.6488)  3 Pb 2.33
O (0.6163, 0.8241, 0.4660)  1 I 1.84
O (0.3972, 0.3873, 0.0875)  1 I 1.84
O (0.1456, 0.6875, 0.1343)  1 I 1.84
O (0.3562, 0.0294, 0.5547)  1 I 1.85
O (0.2625, 0.9107, 0.1785)  1 I 1.86
O (0.9310, 0.9766, 0.1846)  1 I 1.86
O (0.1773, 0.4801, 0.7392)  1 I 1.83
O (0.5547, 0.3562, 0.0294)  1 I 1.85
O (0.1343, 0.1456, 0.6875)  1 I 1.84